**Job:**
Reproduce every line below that contains the word "Nb13".
**Contents:**
____________
An optimized crystal structure of Ce4NbN4. Source: the Alexandria database, functional GGA-PBE.

Properties
**Symmetry**: C2/m
**E_form (uncorrected)**: -1.21 eV/atom
**Magnetic moment**: 0.001 μB/f.u.
**Total energy**: -8.6683 eV/atom

Lattice parameters (Å, degrees): 3.407 5.979 7.695 76.29 77.21 73.45
Sites, in units of the cell vectors:
N1 0.687 0.902 0.723
N2 0.313 0.098 0.277
N3 0.088 0.736 0.087
N4 0.912 0.264 0.913
Ce1 0.299 0.592 0.810
Ce2 0.103 0.186 0.608
Ce3 0.701 0.408 0.190
Ce4 0.897 0.814 0.392
Nb1 0.500 0.000 0.000


An optimized crystal structure of Ce3Nb5N12. Source: the Alexandria database, functional GGA-PBE.

Properties
**Symmetry**: Ia-3d
**E_form (uncorrected)**: -1.07 eV/atom
**Magnetic moment**: 1.187 μB/f.u.
**Total energy**: -9.4716 eV/atom

Lattice parameters (Å, degrees): 11.313 11.313 11.313 109.47 109.47 109.47
Each line ends with the local moment (μB).
Sites, in units of the cell vectors:
Nb1 0.625 0.875 0.250  0.02
Nb2 0.125 0.375 0.250  0.02
Nb3 0.000 0.500 0.000  0.05
Nb4 0.000 0.000 0.000  0.05
Nb5 0.250 0.375 0.625  0.02
Nb6 0.500 0.000 0.000  0.05
Nb7 0.375 0.250 0.125  0.02
Nb8 0.625 0.750 0.875  0.02
Nb9 0.875 0.625 0.750  0.02
Nb10 0.500 0.500 0.500  0.05
Nb11 0.250 0.875 0.125  0.02
Nb12 0.125 0.750 0.375  0.02
Nb13 0.750 0.625 0.375  0.02
Nb14 0.875 0.250 0.625  0.02
Nb15 0.750 0.125 0.875  0.02
Nb16 0.375 0.125 0.750  0.02
Nb17 0.500 0.500 0.000  0.05
Nb18 0.500 0.000 0.500  0.05
Nb19 0.000 0.500 0.500  0.05
Nb20 0.000 0.000 0.500  0.05
N1 0.473 0.795 0.876  -0.01
N2 0.419 0.124 0.597  -0.01
N3 0.178 0.097 0.973  -0.01
N4 0.403 0.376 0.581  -0.01
N5 0.205 0.678 0.081  -0.01
N6 0.705 0.581 0.178  -0.01
N7 0.295 0.419 0.822  -0.01
N8 0.919 0.822 0.795  -0.01
N9 0.822 0.903 0.027  -0.01
N10 0.678 0.205 0.581  -0.01
N11 0.081 0.903 0.376  -0.01
N12 0.027 0.403 0.822  -0.01
N13 0.403 0.027 0.322  -0.01
N14 0.597 0.624 0.419  -0.01
N15 0.124 0.705 0.527  -0.01
N16 0.124 0.419 0.097  -0.01
N17 0.097 0.919 0.124  -0.01
N18 0.919 0.097 0.624  -0.01
N19 0.527 0.205 0.124  -0.01
N20 0.876 0.581 0.903  -0.01
N21 0.795 0.322 0.919  -0.01
N22 0.376 0.973 0.795  -0.01
N23 0.527 0.322 0.903  -0.01
N24 0.419 0.295 0.322  -0.01
N25 0.322 0.795 0.419  -0.01
N26 0.581 0.876 0.403  -0.01
N27 0.473 0.678 0.097  -0.01
N28 0.597 0.973 0.678  -0.01
N29 0.822 0.919 0.295  -0.01
N30 0.581 0.705 0.678  -0.01
N31 0.322 0.527 0.403  -0.01
N32 0.027 0.624 0.705  -0.01
N33 0.624 0.597 0.919  -0.01
N34 0.705 0.124 0.027  -0.01
N35 0.081 0.178 0.205  -0.01
N36 0.097 0.178 0.473  -0.01
N37 0.973 0.597 0.178  -0.01
N38 0.795 0.473 0.376  -0.01
N39 0.205 0.527 0.624  -0.01
N40 0.678 0.473 0.597  -0.01
N41 0.376 0.403 0.081  -0.01
N42 0.178 0.081 0.705  -0.01
N43 0.624 0.027 0.205  -0.01
N44 0.903 0.822 0.527  -0.01
N45 0.876 0.295 0.473  -0.01
N46 0.903 0.081 0.876  -0.01
N47 0.295 0.876 0.973  -0.01
N48 0.973 0.376 0.295  -0.01
Ce1 0.375 0.625 0.250  0.36
Ce2 0.750 0.875 0.625  0.36
Ce3 0.125 0.250 0.875  0.36
Ce4 0.875 0.125 0.250  0.36
Ce5 0.375 0.750 0.625  0.36
Ce6 0.250 0.625 0.875  0.36
Ce7 0.250 0.125 0.375  0.36
Ce8 0.625 0.250 0.375  0.36
Ce9 0.625 0.375 0.750  0.36
Ce10 0.750 0.375 0.125  0.36
Ce11 0.125 0.875 0.750  0.36
Ce12 0.875 0.750 0.125  0.36


An optimized crystal structure of Ce3NbN6. Source: the Alexandria database, functional GGA-PBE.

Properties
**Symmetry**: Cmc2_1
**E_form (uncorrected)**: -1.14 eV/atom
**Magnetic moment**: 0.723 μB/f.u.
**Total energy**: -8.9235 eV/atom

Lattice parameters (Å, degrees): 5.660 7.309 7.309 99.75 90.00 90.00
Each line ends with the local moment (μB).
Sites, in units of the cell vectors:
N1 0.711 0.343 0.351  0.02
N2 0.711 0.649 0.657  0.02
N3 0.211 0.351 0.343  0.02
N4 0.647 0.916 0.391  0.02
N5 0.150 0.787 0.213  0.18
N6 0.147 0.084 0.609  0.02
N7 0.650 0.213 0.787  0.18
N8 0.750 0.986 0.014  0.22
N9 0.250 0.014 0.986  0.22
N10 0.147 0.391 0.916  0.02
N11 0.211 0.657 0.649  0.02
N12 0.647 0.609 0.084  0.02
Ce1 0.470 0.903 0.678  0.02
Ce2 0.470 0.322 0.097  0.02
____________
**Result:**
Nb13 0.750 0.625 0.375  0.02